== Wanted ==
Next, filter the lines further below: keep the lines with the word "xyz".
== Input ==
+++
{"formula": "CFIO", "method": "wB97M-V/def2-TZVPD", "fmax_ev_per_a": 2.6, "multiplicity": 1, "homo_ev": -10.69, "de_lowest_kcal_mol": 32.9, "mol_weight_g_mol": 173.91, "lumo_ev": -2.2775, "elements": ["C", "O", "F", "I"], "xyz": [[1.070092, 0.199110, 1.272615], [1.882024, 0.482461, 0.542994], [-1.113930, -0.231999, 0.043931], [-1.838186, -0.449572, -1.859540]], "forces_ev_per_angstrom": [[0.4, 0.1, 0.1], [-0.2, -0.1, 0.1], [-1.0, -0.3, -2.4], [0.8, 0.3, 2.2]]}
+++
== Written answer ==
{"formula": "CFIO", "method": "wB97M-V/def2-TZVPD", "fmax_ev_per_a": 2.6, "multiplicity": 1, "homo_ev": -10.69, "de_lowest_kcal_mol": 32.9, "mol_weight_g_mol": 173.91, "lumo_ev": -2.2775, "elements": ["C", "O", "F", "I"], "xyz": [[1.070092, 0.199110, 1.272615], [1.882024, 0.482461, 0.542994], [-1.113930, -0.231999, 0.043931], [-1.838186, -0.449572, -1.859540]], "forces_ev_per_angstrom": [[0.4, 0.1, 0.1], [-0.2, -0.1, 0.1], [-1.0, -0.3, -2.4], [0.8, 0.3, 2.2]]}